Read How to Kill an Incubus Page 4

  He cocked his head, his eyes dancing with humor. “You don’t wanna know.”

  “I don’t?”

  “No. It’s the stuff of nightmares.”

  I didn’t even know if demons had names. Well, normal names. I knew about the biblical ones. Like Legion. My father had imparted that knowledge to me before he died. But never in a million years would I have thought I’d be standing in a bar asking a demon, who had once tried to force himself on me, what his name was.

  “Well,” I began, interested despite myself, “what is it?”

  “Templeton,” he intoned, putting me out of my misery.


  He sighed heavily. “My mother’s a big fan of The A-Team. The original A-Team. So she…”

  “You have a mother?”

  He smirked at me. “Yes, Baby Phat. I have a mother. How do you think I got here?”

  “I…” I couldn’t finish my sentence. Demons had mothers. How had my father not told me this?

  “I’m a halfling. That means I have a human parent.”

  “I know what a halfling is,” I mumbled, although I hadn’t really thought about them. Looking at this… this demon, you’d never be able to tell that he could send you to eternal damnation with one crook of his manicured finger.

  “You can call me Temp. Everyone does.”

  “Your mother clearly hated you,” I whispered.

  “I hate to agree with you, Baby Phat.” His arm tightened around my waist and he leaned down, his lips brushing my ear. “So what are you?”

  I sucked in a deep breath. “Get away from me. Now.”

  “You’re drunk,” he said softly. “Let me take you to your room.”

  I tried to push him away. “So you can… attack me?” The fear was there, the fear of dying at the hands of this creature. I thought of myself as spunky, brave even, but dealing with something like him was enough to make my backbone crumble into dust.

  He rolled his eyes at me—actually rolled his damn eyes at me as if it were irrational to be terrified of him. “Relax, Baby Phat. I’ve fed already, on a more-than-willing subject,” he said slowly, as if he were talking to a little child. “Even though you look,” he sighed, “impeccable, I won’t touch you.” He demonstrated this by taking an exaggerated step away from me. “Better?”

  “I don’t trust you,” I snapped at him, all the while wondering if that “subject” was still breathing, or if the poor woman was now a grinning corpse in a hotel room. “I don’t want anything to do with… with your kind. Being around you makes me sick.” But that could just be the vodka.

  Temp did another eye-roll. “A little melodramatic, don’t you think?” He reached out and gently pulled me out of the way as a couple strode past me, effectively closing the distance between us. “This place is crawling with my kind,” he cheerfully enlightened me. “They don’t call Vegas ‘Sin City’ for nothing, babe. So you might want to think about that before you strut around looking like this, especially when you’re drunk and the next guy you meet won’t be as nice as me.”

  I gulped. Crawling, he’d said. Crawling with them.

  Oh God, I need to get out of here. I need to get out of here!

  “I’ll take myself upstairs, thank you very much,” I whispered, and made a move to march past him.

  His hands shot out and he pushed me up against the wall, positioning his body before me, and gently but firmly pressing his lower body against mine. To anybody watching, it looked like a frisky interlude, but to me, it felt like I was dying a thousand deaths. Temp’s eyes weren’t creepy in any way. In fact, they looked a bit familiar, but they were narrowed as he stared down at me.

  “OK, Baby Phat,” he said in a low voice. “I’ve humored you enough. Spit it out. What are you?”

  Even if kneeing him in the groin was possible—which wasn’t, considering how restricted my movement currently was—I was just simply frozen to the spot in fear.

  Temp impatiently repeated himself.

  “I-I’m a p-p-private investigator,” I stammered, humiliated by how petrified I sounded. Enraged men caught with their pants down baying for my blood? No problem. Curious incubi who were touching me? Turned me into a pathetic, stuttering mess.

  “A private investigator,” he repeated, quirking a brow as if he didn’t believe me.

  I took a deep breath before saying, “I specialize in tailing unfaithful husbands. Huge market, if you must know. Men can’t seem to keep their dicks in their pants. I would’ve given you a business card but I don’t believe in self-advertising.”

  Temp gave me a strange look. “Look, Baby Phat, I’ve been turning on the charm full force since we started talking—and nothing,” he told me, now looking affronted. “You’re supposed to be putty in my hands right now. Putty! You’re supposed to want me. So I’ll ask again, What are you?”

  I felt anger swirl around inside me and I clung to it, releasing my hold on panic. “I’m a woman who’s becoming extremely pissed off, so I’m giving you one last chance to get the fuck away from me before I beat the horse crap out of you,” I said through clenched teeth. “I never asked to be able to know when your kind is around me. My father passed that gift on to me. No matter how hard I try to forget about it, I can’t ignore it. Happy?”

  Temp immediately let me go. “That still doesn’t explain why you’re immune to me.” He paused, looking thoughtful. “Would you object if I kissed you?”

  I couldn’t mask my horror even if I wanted to. Revulsion and abject fear made me give out an odd squawk of shock.

  “I guess that’s a no,” a cheerful Temp said for me. His face became sober. “I only wanted to know what you tasted like, Baby Phat. That’s all. Every creature tastes differently. No need to look so dismayed.” He let out a short laugh, grabbing my hand. “Come on. I’m taking you upstairs. What floor are you?”


  I allowed him to lead me out the doorway of the bar. I allowed him to lead me past the high-energy casino entrance. I even allowed him to steer me to the elevator. His hand felt surprisingly nice around mine. Comforting, even. I didn’t want to think too much about that. Temp was nice-looking, but he was a demon and he wasn’t my type.

  I tended to lean toward tall, dark, and devilishly handsome.

  This was my train of thought when the elevator pinged open—and Tall, Dark, and Devilishly Handsome stood inside the car, on his way out.

  He was still in the same clothes I saw him in that morning, except that he’d untied his hair from its ponytail and it flowed in a thick curtain around his face. God, I yearned to run my hands through that hair again. I had to physically restrain myself from leaping inside and doing it.

  Anghelescu—or whatever he was called—paused and threw me a look that could have frozen the entire percentage of water inside me. Temp either ignored it or wasn’t aware. He dragged me into the car with him and the elevator doors came to a close.

  “Evening,” said Temp, pressing the third floor button. His tone was strange. Moderately reverent.

  “Disappear,” growled Scary (Possibly) Russian Guy, and I stared at him in puzzled disbelief.

  “She needs to get to her room,” Temp told him, further confusing me.

  “Disappear,” SRG repeated, his voice an octave lower.

  Temp squeezed my hand before releasing me. “As you wish, Andrei.” And he instantly disappeared into thin air.

  All that air seemed to disappear with him.

  Andrei, he said. Andrei.

  It all came back to me in a rush of drunken adrenaline—Paris, Nicolette, Hotel Ange Noir…

  “Andrei would like you. You’re his type.”

  Temp’s words replayed in my head like a scratched CD. Just how many Andrei’s could Temp possibly know? And now he just left me in an elevator—a confined space—with Andrei, someone who was obviously one of his kind.

  And all the while I was processing this, Andrei Anghelescu was watching me, taking up more space than was humanly
possible—because he wasn’t human.

  I’ve fucked him, I thought, my face contorting with the horrible realization. I’ve fucked a demon.

  “No,” I croaked, my head pounding, praying that this was some sick, twisted joke. I pressed myself against one of the silver panels on one side, squeezing my eyes shut and opening them again. “No!”

  It didn’t make sense. Even in my vodka-addled state, I could tell that something wasn’t right. If he were a demon, why didn’t I sense him last night when he was inside me?! The fact that my brain was all fuzzy from martinis explained why I couldn’t feel his energy surrounding me now. But last night? Last night, I’d been as sober as a judge.

  Andrei extended a long arm and pressed the emergency stop button. “I take it you know what I am now?” he said quietly, narrowing his eyes at me as the car rocked to a stop. “The question is: What are you?”

  I inwardly grimaced. I was getting sick and damn tired of that exact same question.

  “I had sex with you!” I said breathily, still in a state of total shock.

  “I know,” he said impatiently. “I was there.”

  “I can’t… I think… Oh God, I’m going to be sick!”

  Andrei moved, now standing so close to me that I could see the minute hairs of a five o’clock shadow dotting his painfully masculine jaw. I pressed myself as far back as I could possibly go, breathing heavily but trying not to succumb to the mad hysteria inside me.

  “I fucked you,” he muttered, threading his hands in my hair. I was disgusted by the way I was still aching for his touch despite knowing what he was. “Fucked you hard. Consumed a shitload of your energy. By rights, you should be in bed recovering.” He paused, considering this. “No, you should be half-comatose—maybe even dead. Yet here you are, wearing close to nothing and looking… the way you look.”

  I swallowed, my breathing ragged. Hearing him talk about what he’d done to me in such a crass way was enough to make my panties wet. I certainly was my mother’s child, running around having sex with creatures of the underworld.

  Maybe Temp was wrong, I thought hopefully. Maybe I’m just as susceptible to incubi as the next person. Maybe this is just an involuntary reaction.

  But even as I thought those words, I knew they weren’t true. I had hunter’s blood in my veins and we were immune. No, this was attraction on a primal level.

  “Don’t lie to me,” Andrei pressed. “Are you an angel?”

  I couldn’t help it, I laughed. I laughed louder then than when I’d laughed at Temp. I laughed louder than I’d ever laughed in my entire twenty-seven years. This was beyond ridiculous. An angel. He thought I was an angel. An angel, for Pete’s sake!

Next to the text, the page also holds crystal structures >
~~~
# PBE Be5Fe, relaxed
# energy of formation	-0.62	eV/f.u.
# spin magnetization	1.62	Bohr magnetons per cell
data_Be5Fe
_chemical_formula_sum 'Be5 Fe1'
_space_group_name_H-M_alt 'P 1'
_space_group_IT_number 1
_space_group_name_Hall 'P 1'
_cell_length_a 4.121
_cell_length_b 4.121
_cell_length_c 4.121
_cell_angle_alpha 60.00
_cell_angle_beta 60.00
_cell_angle_gamma 60.00
loop_
_atom_site_label
_atom_site_fract_x
_atom_site_fract_y
_atom_site_fract_z
_atom_site_occupancy
Be1 0.000 0.000 0.000 1
Be2 0.376 0.376 0.376 1
Be3 0.376 0.376 0.872 1
Be4 0.376 0.872 0.376 1
Be5 0.872 0.376 0.376 1
Fe1 0.750 0.750 0.750 1


# PBE BeNbBiCl2, relaxed
# spin magnetization	2.02	Bohr magnetons per cell
# formation energy without anion corrections	0.1454	eV per atom
data_BeNbBiCl2
_chemical_formula_sum 'Be1 Nb1 Bi1 Cl2'
_space_group_name_H-M_alt 'P 1'
_space_group_IT_number 1
_space_group_name_Hall 'P 1'
_cell_length_a 4.150
_cell_length_b 4.150
_cell_length_c 8.329
_cell_angle_alpha 90.00
_cell_angle_beta 90.00
_cell_angle_gamma 90.00
loop_
_atom_site_label
_atom_site_fract_x
_atom_site_fract_y
_atom_site_fract_z
_atom_site_occupancy
Be1 0.000 0.000 0.000 1
Nb1 0.000 0.000 0.500 1
Bi1 0.500 0.500 0.500 1
Cl1 0.000 0.500 0.000 1
Cl2 0.500 0.000 0.000 1


# PBE CrFeAsRu, relaxed
# energy of formation	0.21	eV/f.u.
# spin magnetization	2.21	Bohr magnetons per cell
data_CrFeAsRu
_chemical_formula_sum 'Cr1 Fe1 As1 Ru1'
_space_group_name_H-M_alt 'P 1'
_space_group_IT_number 1
_space_group_name_Hall 'P 1'
_cell_length_a 4.175
_cell_length_b 4.175
_cell_length_c 4.175
_cell_angle_alpha 60.00
_cell_angle_beta 60.00
_cell_angle_gamma 60.00
loop_
_atom_site_label
_atom_site_fract_x
_atom_site_fract_y
_atom_site_fract_z
_atom_site_occupancy
Cr1 0.000 0.000 0.000 1
Fe1 0.750 0.750 0.750 1
As1 0.250 0.250 0.250 1
Ru1 0.500 0.500 0.500 1


Number 1: DFT total energy -4.619 eV/atom. Number 2: DFT total energy -4.129 eV/atom. Number 3: DFT total energy -7.950 eV/atom.
~~~

  He scowled at me, clearly not used to being ridiculed, and grabbed my chin, tipping it toward him. “Don’t fuck around with me because you have no idea who I am. Now talk.”

  I had no clue what came over me, except that in the last twenty-four hours, I’d seen enough demons to last a lifetime, been manhandled by two of them, had the best sex of my life with one, and was currently fighting to control the scream dying to get out of me. So I slapped his hand away and glowered at him.

  “Don’t try to intimidate me, buddy! I’m so not in the mood,” I fumed, ignoring the intimidating look on his face. “I’m human and I enjoy a very mundane, very human existence, so if you don’t mind,” I spat as I pressed the emergency stop button and the elevator started up again, “I’d like to get some sleep and get the hell out of this hellhole, literally, first thing tomorrow morning so I can continue with it. You with me?!”

  He stared at me. I stared back.

  The elevator doors opened and a laughing couple patiently waited for us to exit. I slid past Andrei and tottered out, praying that he wouldn’t follow.

  But he did.

  “What do you want from me?” I snarled, whirling around once we were at the door to my suite. Anger seemed the best thing to hold on to rather than absolute terror—and lust. Yup, despite my knowledge of what he was, I was still attracted to him—it.

  Those eyes of his were several shades darker and I instantly knew what that meant. Before I could say something scathing, he seized me, angling his head, and smashed his lips against mine. The fact that I knew what he was didn’t stop my body from reacting to the feel of his soft lips against mine. I melted against him, my hands grabbing the folds of his shirt, and I moaned when his tongue slipped into my mouth.

  Heat immediately pooled in my belly and, without using my card, Andrei pushed the door open and picked me up, kicking it shut behind us and switching on the overhead lights.

  My legs were wrapped around his waist as he led me to the newly made bed and set me down, leaning above me. Dammit, I wanted him. I wanted him so badly I wouldn’t have cared if he suddenly revealed that he was really a goblin-turtle hybrid—or something.

  My dress came off and my underwear followed, leaving me naked for his consumption. I wanted his mouth to soothe the heat overwhelming my entire body. I wanted his mouth everywhere.

  He pulled back, his eyes gazing over my body with naked desire. I squirmed and he stilled me with strong hands.

  “Stop,” he growled. “You are completely and totally fuckable. Don’t hide from me.” He lowered his mouth to one breast. “I’m having you checked out, Rainelle Erickson,” he murmured into my skin, pulling a nipple into his mouth and suckling it. “You know why?”

  I whimpered with pleasure, unable to grab his hair like I wanted to because his hands were holding me down.

  He raised his head. “Because I don’t like complications,” he said softly.

  “I’m… not,” I gasped.

  One of his hands had released me to stimulate me.

  “You are,” he said huskily, teasing my swollen clit between his fingers, “because you are different.”

  I bucked under him as he slipped a finger into me at the same time.

  “So wet for me,” he murmured, that accent of his coming to the fore again. “Such a good girl.”

  He withdrew his fingers, and rolled off the bed and onto his feet. My eyes were closed and the only thing I heard was the sound of the drawers being opened. I’d thrown every condom in there that morning, disgusted with myself.

  “Get up,” Andrei barked, and my eyes flew open.

  I was panting for air as I crawled off the bed. He’d shed every bit of clothing and stood before me, his encased erection massive and beautiful. He grabbed me to him and his mouth sent electric charges throughout my body once more before he pulled away and spun me around so that my back was to him.

  “I’m going to fuck you hard and you’re going to beg me for more,” he snarled into my ear, kneading my swollen breasts with his hands. “You are not going to be sick. You are not going to want to get out of here. You are going to come until my cock is tattooed inside this sexy ass of yours.” He squeezed my ass and I sucked in air. “You with me?”

  I nodded, already close to orgasm at his delicious words.

  “Words. Say it.”

  “Yes,” I panted.

  “Bend over,” he commanded.

  I did as he asked, bending at the waist and placing my hands on the soft, downy carpet. Andrei’s fingers instantly sought my wetness, sinking into me and sending ripples of pleasure through me and brought my mind havoc. His knuckles nudged my clit, and I cried out, the sweet sensation almost painful.

  Languid minutes passed as he held onto my waist and pleasured me at the same time. His fingers spread me apart and I held my breath, heart thumping in anticipation.

  I felt him at my entrance. Felt him circle me, torturing me. Biting my lip, I prepared myself for what was to come—and come, it did. He thrust into me about halfway, stretching me to the limit. I cried out again, shutting my eyes. He pulled out, then plunged deep into me, to the hilt this time, incomparably filling me up. Delicious pain morphed into intense, unbearable pleasure as he increased the pace, his thrusts becoming faster and deeper.

  He grunt
ed each time he drove himself into me, his hold on my waist tightening and my body was quaking with the force of each beautiful invasion.

  I screamed through my orgasm, riding that wave until it evaporated. It was a powerful orgasm that didn’t seem to have a beginning or ending. And I wasn’t going to be able to support myself any longer and Andrei seemed to sense that. So he came, his big body racked with spasms as he groaned into the air, jerking inside of me.

  Then he pulled himself out and I collapsed onto the ground, gasping for breath. He left me there, walking over to the bin and disposing of the used condom. I peered over the bed and watched him clean himself up.

  “No more,” I pleaded, my voice hoarse. I had no idea if he wanted more but if last night were any indication, I sure as hell knew that incubi had amazing stamina. I, unfortunately, did not.

  “No more?” he repeated, tearing open another foil packet. His hungry gaze sent shivers down my spine. “You don’t mean that, Rainelle. You’re just as hungry for me as I am for you.”

  I gulped, watching him roll the latex on.

  “How can you still be so hard?”

  “You,” he said simply, by way of explanation. “Get on the bed. I’ll fuck you slowly.”

  That sounded delicious. My pussy seconded that thought by clenching in anticipation.

  Jesus, Rae, my inner voice admonished. What the hell’s gotten into you? Have you forgotten that he—it—is a demon?

  No, I hadn’t forgotten. How could I? It was right in front of me: The fact that he was a demon—an evil creature, and being with him was unnatural. But what exactly could I do? Tell him I didn’t want him inside me when we both knew that was a bald-faced lie? I wanted him with an intensity I didn’t know existed and I couldn’t even blame it on his sex-demon magic because, apparently, I was immune to it. So I hopped onto the bed and lay flat on my back, my arousal coming back to me in a flood.

  Andrei slid beside me, his sheer presence making me wet. Feeling bolder, I reached out and ran my hand down the planes of his hard chest. He made a low noise in his throat as I circled his navel and moved down his happy trail, pausing at the start of the short, dark curls of hair.